

Morita, Atsuro

2014  The Ethnographic Machine: Experimenting with Context and Comparison in Strathernian Ethnography. Science, Technology and Human Values 39(2):214–235.

Mohacsi, Gergely

2014  Ecologies of Care: Topics, Methods and Challenges. In Ecologies of Care: Innovations through Technologies, Collectives and the Senses. Mohacsi Gergely, ed. pp.3–7. Osaka: Osaka University.

Mohacsi, Gergely

2014  We Always Connect With Worlds: Japanese Drugs, Hungarian Bodies, and the Effects of Comparison. In Ecologies of Care: Innovations through Technologies, Collectives and the Senses. Mohacsi Gergely, ed. pp.257–271. Osaka: Osaka University.

Records of crystals from another source follow =
# 1
CrHgOs2 (PBE, optimized geometry); V = 15.63 Å³ per atom; DFT total energy = -29.29 eV/cell; symmetry = Cmm2; energy of formation from the pure elements = 298.2 kJ/mol of formula units
1.0
2.7358 0.0067 0.0000
-1.2723 2.4219 0.0000
0.0000 0.0000 9.4207
Hg Os Cr
1 2 1
Cartesian
0.7317 1.2143 6.9762
0.0000 0.0000 0.1717
0.7317 1.2143 2.4757
0.0000 0.0000 4.5074

# 2
Ta2CrHgOs (PBE, optimized geometry); V = 21.40 Å³ per atom; DFT total energy = -38.79 eV/cell; symmetry = P4/mmm; energy of formation from the pure elements = 585.3 kJ/mol of formula units
1.0
4.8808 0.0000 0.0000
0.0000 4.4917 0.0000
0.0000 0.0000 4.8808
Os Cr Ta Hg
1 1 2 1
Cartesian
0.0000 0.0000 0.0000
0.0000 2.2459 0.0000
0.0000 0.0000 2.4404
2.4404 0.0000 0.0000
2.4404 2.2459 2.4404

# 3
CrHg2TeOs (PBE, optimized geometry); V = 30.98 Å³ per atom; DFT total energy = -16.71 eV/cell; uncorrected formation energy = 7.88 eV/f.u.; symmetry = P4/mmm
1.0
-4.9650 2.3843 1.0920
-1.4859 -4.1167 2.2326
1.9984 1.9259 4.8812
Cr Hg Os Te
1 2 1 1
Cartesian
-2.2263 0.0967 4.1029
-2.4825 1.1921 0.5460
0.9992 0.9629 2.4406
-0.7430 -2.0584 1.1163
0.0000 0.0000 0.0000

# 4
TiCr2HgOs (PBE, optimized geometry); V = 21.19 Å³ per atom; DFT total energy = -34.06 eV/cell; symmetry = P4/mmm; energy of formation from the pure elements = 445.0 kJ/mol of formula units
1.0
-1.4633 -3.5566 2.7224
4.1834 0.0368 2.2966
-1.7325 3.0905 3.1063
Cr Hg Ti Os
2 1 1 1
Cartesian
-0.8662 1.5453 1.5532
-0.7316 -1.7783 1.3612
0.4938 -0.2147 4.0627
2.0917 0.0184 1.1483
0.0000 0.0000 0.0000

# 5
TiCrHg2Os (PBE, optimized geometry); V = 20.78 Å³ per atom; DFT total energy = -20.28 eV/cell; symmetry = P4/mmm; energy of formation from the pure elements = 875.4 kJ/mol of formula units
1.0
5.0675 0.0000 0.0000
0.0000 4.0458 0.0000
0.0000 0.0000 5.0675
Hg Os Ti Cr
2 1 1 1
Cartesian
0.0000 0.0000 2.5338
2.5338 0.0000 0.0000
2.5338 2.0229 2.5338
0.0000 0.0000 0.0000
0.0000 2.0229 0.0000

# 6
CrHgOsW2 (PBE, optimized geometry); V = 22.69 Å³ per atom; DFT total energy = -29.44 eV/cell; symmetry = P4/mmm; energy of formation from the pure elements = 1699.9 kJ/mol of formula units
1.0
4.8496 0.0000 0.0000
0.0000 4.8496 0.0000
0.0000 0.0000 4.8241
W Hg Cr Os
2 1 1 1
Cartesian
0.0000 2.4248 0.0000
2.4248 0.0000 0.0000
0.0000 0.0000 0.0000
2.4248 2.4248 2.4120
0.0000 0.0000 2.4120

no.,size of the total moment (Bohr magnetons per cell)
1,0.00
2,0.00
3,3.82
4,5.87
5,2.61
6,0.21

=====

## BP3RhC (PBE)

Data for crystalline BP3RhC at its relaxed geometry.

The energy above the most stable polymorph in this dataset is 0.0143 eV per atom. Its calculated volume is 13.2 Å³/atom.

It has space group P1 (No. 1), with a = 3.112 Å, b = 5.308 Å, c = 5.383 Å, α = 65.15°, β = 80.60° and γ = 81.48°. Symmetry generates all atoms from B at (0.000, 0.000, 0.000), P at (0.184, 0.414, 0.295), P at (0.429, 0.095, 0.138), P at (0.653, 0.744, 0.733), Rh at (0.621, 0.308, 0.638) and C at (0.110, 0.715, 0.965).

## Tm5ThPb6 (PBE)


Mohacsi, Gergely

2013  The Adiponectin Assemblage: An Anthropological Perspective on Pharmacogenomics in JapanEast Asian Science and Technology Studies 7(2):261–281, 2013.

Morita, Atsuro

2013  Traveling Engineers, Machines and Comparisons: Intersecting Imaginations and Journeys in the Thai Local Engineering Industry. East Asian Science, Technology and Society 7(2):221–241.

Mohacsi, Gergely and Atsuro Morita

2013  Traveling Comparisons: Ethnographic Reflections on Science and TechnologyEast Asian Science, Technology and Society 7(2):175–183.

Mohacsi, Gergely and Atsuro Morita

2013  Introduction: Translational Movements. NatureCulture 2:1–5.

Morita, Atsuro and Gergely Mohacsi

2013  Translations on the Move: A Review Article. NatureCulture 2:6–22.


Jensen, Casper B. and Atsuro Morita

2012  Japanese Anthropology and the “Turn to Ontology”: An Introduction. HAU: Journal of Ethnographic Theory 2(2): 358–370.

Morita, Atsuro

2012  Rethinking Technics and the Human: An Experimental Reading of Classic Texts on Technology. NatureCulture 1:40–58.

Mohacsi Gergely

2012  Entangled Knowledges: Three Modes of Articulating Differences in Clinical Trials. In CARLS Series of Advanced Study of Logic and Sensibility. Vol. 5., 232-–244.Tokyo: Keio University, Centre for Advanced Research on Logic and Sensibility.

____________
# 1
Cs2BaHgBr6 | Alexandria | PBE | relaxed; formation energy (no corrections) = -141.8 kJ/mol of atoms; distance to the lowest polymorph of the same formula = 19 meV/atom
1.0
-5.322 4.090 5.155
4.420 -2.691 6.697
2.999 5.584 5.612
Cs Hg Br Ba
2 1 6 1
direct
0.750 0.250 0.500
0.250 0.750 0.500
0.000 0.000 0.000
0.237 0.237 0.526
0.763 0.763 0.474
0.237 0.237 0.000
0.763 0.763 0.000
0.763 0.237 0.000
0.237 0.763 0.000
0.500 0.500 0.000

# 2
Below is crystalline SmPaH2 at its relaxed geometry, with properties calculated at the PBE level.

Cell and atoms, written as POSCAR:
```
SmPaH2
1.0
3.461 0.000 0.000
1.730 2.997 0.000
1.730 0.999 5.905
H Pa Sm
2 1 1
direct
0.746 0.746 0.761
0.254 0.254 0.239
0.000 0.000 0.000
0.500 0.500 0.500
```

# 3
RbTl3Co | Alexandria | PBE | relaxed; distance to the lowest polymorph of the same formula = 1390 meV/atom; formation enthalpy at 0 K = 1.488 eV/atom
1.0
6.324 0.000 0.000
0.000 6.324 0.000
0.000 0.000 6.324
Tl Co Rb
3 1 1
direct
0.000 0.500 0.000
0.000 0.000 0.500
0.500 0.000 0.000
0.500 0.500 0.500
0.000 0.000 0.000

# 4
SrYBr | Alexandria | PBE | relaxed; formation energy (no corrections) = -58.9 kJ/mol of atoms; distance to the lowest polymorph of the same formula = 140 meV/atom
1.0
-5.227 0.996 -5.637
-2.840 -3.583 -6.260
2.223 0.149 7.425
Y Sr Br
1 1 1
direct
0.651 0.651 0.000
0.343 0.343 0.000
0.007 0.007 0.000

# 5
Sm2NpWN6 | Alexandria | PBE | relaxed; formation energy (no corrections) = -94.7 kJ/mol of atoms
1.0
-4.096 -1.080 1.143
1.477 -5.512 0.084
1.416 0.463 5.509
Sm Np W N
2 1 1 6
direct
0.037 0.500 0.000
0.037 0.000 0.500
0.633 0.500 0.500
0.591 0.000 0.000
0.705 0.241 0.241
0.705 0.241 0.759
0.152 0.500 0.500
0.178 0.000 0.000
0.705 0.759 0.759
0.705 0.759 0.241

# 6
Se2Br | Alexandria | PBE | relaxed; formation energy (no corrections) = 21.3 kJ/mol of atoms; distance to the lowest polymorph of the same formula = 266 meV/atom
1.0
5.598 2.125 1.691
-2.629 1.495 5.438
-0.426 -5.901 -1.928
Se Br
4 2
direct
0.380 0.120 0.500
0.620 0.880 0.500
0.120 0.620 0.740
0.880 0.380 0.260
0.750 0.750 0.000
0.250 0.250 0.000

# 7
Eu2HAu | Alexandria | PBE | relaxed; distance to the lowest polymorph of the same formula = 0 meV/atom
1.0
4.044 0.000 0.000
2.022 3.503 0.000
2.022 1.168 6.840
Eu H Au
2 1 1
direct
0.263 0.263 0.212
0.737 0.737 0.788
0.000 0.000 0.000
0.500 0.500 0.500

# 8
Ca2Mg3Zn6 | Alexandria | PBE | relaxed; formation enthalpy at 0 K = -0.076 eV/atom
1.0
-0.935 3.457 -2.531
-7.246 -0.338 2.215
2.335 4.663 5.507
Ca Mg Zn
2 3 6
direct
0.000 0.292 0.708
0.000 0.708 0.292
0.000 0.208 0.208
0.000 0.792 0.792
0.500 0.000 0.000
0.500 0.381 0.381
0.500 0.619 0.619
0.500 0.040 0.353
0.500 0.960 0.647
0.500 0.353 0.040
0.500 0.647 0.960

# 9
KSr3Cu4Br12 | Alexandria | PBE | relaxed; formation energy (no corrections) = -117.2 kJ/mol of atoms
1.0
9.538 -0.058 -0.080
-2.354 9.243 -0.080
-2.354 -3.010 8.740
K Sr Cu Br
1 3 4 12
direct
0.000 0.000 0.000
0.551 0.449 0.000
0.449 0.000 0.551
0.000 0.551 0.449
____________
So much for the materials data:

Morita, Atsuro, Anders Blok and Shuhei Kimura

2012  Environmental Infrastructures of Emergency: The Formation of a Civic Radiation Monitoring Map during the Fukushima Disaster. In Nuclear Disaster at Fukushima Daiichi: Social, Political and Environmental Issues. Richard Hindmarsh, ed. pp.78–96. London: Routledge.


Mohacsi Gergely

2011  「代謝を生きる―移動性をめぐる実験的考察」『文化人類学』76(3):288–307。(Life of the Metabolism: An Experimental Inquiry into Mobility, Japanese Journal of Cultural Anthropology)

モハーチ ゲルゲイ・森田 敦郎(Mohacsi Gergely and Morita Atsuro)

2011  「比較を生きることについて—ポストプルーラル人類学へ向けて」『哲学』125: 263–284、2011。(Comparison as a Form of Life: Towards a Post-plural Anthropology, Keio Journal of Philosophy.)

モハーチ ゲルゲイ(Mohacsi Gergely)

2011  「病気の通約—血糖自己測定の実践における現実としての批判」『現実批判の人類学―新世代のエスノグラフィへ』春日直樹編、pp. 203-–224、世界思想社、2011。(Commensurating Disease: self-measurement of blood glucose as a form of criticism, In Anthropology and the Critique of Reality. Naoki Kasuga ed.)